(File)
Model i:
# C21H23N3O4S

A 2-piece molecular cluster, C21H23N3O4S overall (the ωB97M-V functional and the def2-TZVPD basis, the OMol25 dataset).

Element x y z (Å)
1 N 1.01 -2.11 0.29
2 C 1.44 -1.72 1.64
3 C 0.68 -2.03 2.95
4 C 1.21 -1.54 4.33
5 C 2.54 -0.72 4.50
6 C 3.31 -0.41 3.17
7 C 2.76 -0.90 1.78
8 C 3.61 -0.48 0.47
9 O 3.77 -1.25 -0.51
10 C 4.18 1.03 0.52
11 C 4.15 1.94 -0.75
12 C 4.68 3.39 -0.56
13 C 5.19 3.89 0.84
14 N 5.63 5.34 0.89
15 C 4.50 5.98 0.72
16 S 3.08 6.75 0.30
17 C 5.25 2.96 2.10
18 C 4.72 1.52 1.91
19 C 4.67 0.45 3.12
20 O 5.62 0.30 3.93
21 H 1.22 -1.34 -0.37
22 H -0.04 -2.13 0.31
23 H -0.31 -2.61 2.87
24 H 0.60 -1.75 5.27
25 H 2.92 -0.34 5.50
26 H 3.75 1.53 -1.75
27 H 4.63 4.08 -1.46
28 H 5.65 3.33 3.11
29 C -3.43 -1.92 0.74
30 O -2.50 -1.80 -0.32
31 C -2.67 -2.79 -1.34
32 C -3.22 -2.16 -2.63
33 N -4.60 -1.73 -2.46
34 C -5.09 -0.86 -3.54
35 C -4.38 0.49 -3.75
36 O -4.57 1.42 -2.69
37 C -3.71 1.25 -1.58
38 H -3.11 -1.26 1.55
39 H -4.43 -1.60 0.42
40 H -3.47 -2.94 1.12
41 H -3.29 -3.62 -1.00
42 H -1.67 -3.19 -1.56
43 H -3.16 -2.89 -3.44
44 H -2.56 -1.32 -2.88
45 H -4.69 -1.22 -1.59
46 H -6.14 -0.65 -3.31
47 H -5.07 -1.42 -4.48
48 H -4.82 0.95 -4.63
49 H -3.31 0.38 -3.98
50 H -2.73 0.88 -1.87
51 H -4.17 0.58 -0.84
52 H -3.58 2.22 -1.09

For the orbital gap, the calculation gives 7.40 eV.

Model ii:
# C21H23N3O4S

One molecule with the formula C21H23N3O4S (the ωB97M-V functional and the def2-TZVPD basis, the OMol25 dataset).

Element x y z (Å)
1 O 3.28 -0.92 -3.02
2 C 2.24 -1.52 -2.76
3 C 1.53 -2.25 -3.79
4 C 2.05 -2.58 -5.02
5 C 1.13 -3.21 -5.86
6 C -0.10 -3.35 -5.27
7 S -0.13 -2.73 -3.68
8 H -0.98 -3.79 -5.69
9 H 1.35 -3.55 -6.86
10 H 3.07 -2.36 -5.28
11 C 1.70 -1.49 -1.40
12 C 0.90 -2.31 -0.69
13 O 0.30 -3.46 -0.99
14 H -0.14 -3.75 -0.17
15 C 0.79 -1.82 0.71
16 O 0.17 -2.42 1.57
17 N 1.50 -0.68 0.78
18 C 1.75 0.09 1.98
19 H 2.49 -0.43 2.60
20 H 2.18 1.05 1.67
21 C 0.48 0.33 2.80
22 H 0.01 -0.64 2.99
23 H 0.77 0.76 3.76
24 C -0.50 1.26 2.07
25 N -1.86 1.25 2.55
26 C -2.60 0.03 2.27
27 H -2.49 -0.21 1.21
28 C -4.07 0.27 2.59
29 O -4.25 0.65 3.94
30 C -3.51 1.81 4.23
31 C -2.02 1.60 3.95
32 H -1.48 2.53 4.15
33 H -1.64 0.82 4.63
34 H -3.68 2.02 5.29
35 H -3.88 2.65 3.62
36 H -4.66 -0.64 2.45
37 H -4.46 1.07 1.93
38 H -2.24 -0.83 2.86
39 H -0.53 0.98 1.02
40 H -0.14 2.29 2.14
41 C 2.13 -0.36 -0.48
42 C 1.64 0.95 -1.07
43 N 0.34 1.16 -1.03
44 C -0.14 2.26 -1.58
45 C 0.65 3.20 -2.21
46 C 2.02 2.98 -2.26
47 C 2.53 1.83 -1.67
48 H 3.59 1.61 -1.70
49 H 2.68 3.68 -2.74
50 H 0.22 4.08 -2.66
51 H -1.22 2.38 -1.51
52 H 3.22 -0.33 -0.38

As for the SMILES: O=C(C1=C(O)C(=O)N(CCCN2CCOCC2)[C@@H]1c1ccccn1)c1cccs1. For the orbital gap, the calculation gives 7.92 eV.

Winner for stability: model ii

Model i:
# ClH2PS

One molecule with the formula ClH2PS (the ωB97M-V functional and the def2-TZVPD basis, the OMol25 dataset).

Element x y z (Å)
1 P -1.09 -0.70 0.17
2 S 3.03 -0.03 -0.20
3 Cl 1.06 0.45 0.06
4 H -1.48 -0.06 -1.01
5 H -1.52 0.34 0.99

For the orbital gap (alpha / beta), the calculation gives 6.43 / 5.93 eV.

Model ii:
# ClH2PS

One molecule with the formula ClH2PS (the ωB97M-V functional and the def2-TZVPD basis, the OMol25 dataset).

Element x y z (Å)
1 P 1.08 -0.02 -0.02
2 S 2.15 -1.65 0.00
3 Cl 1.68 1.99 0.00
4 H 0.19 0.11 -1.09
5 H 0.18 -0.06 1.04

As for the SMILES: S=[PH2]Cl. For the orbital gap, the calculation gives 9.35 eV.

Winner for stability: model ii

Model i:
# C7H11N2O2S

An isolated ion of composition C7H11N2O2S and charge +1 (the ωB97M-V functional and the def2-TZVPD basis, the OMol25 dataset).

Element x y z (Å)
1 C -0.30 -0.51 -1.30
2 C 0.98 -0.88 -1.10
3 C -0.99 0.46 -0.54
4 C 0.48 1.55 0.85
5 C -2.17 -1.76 0.94
6 C 1.70 -0.50 0.15
7 C -2.91 -0.77 0.06
8 N 0.39 2.85 0.73
9 N 1.73 1.01 0.27
10 O -1.04 -1.60 1.29
11 O -2.16 0.44 -0.07
12 S 3.39 -1.13 0.29
13 H -0.80 -0.83 -2.21
14 H 1.48 -1.54 -1.79
15 H -2.77 -2.64 1.21
16 H 1.16 -0.85 1.03
17 H -3.88 -0.51 0.50
18 H -3.08 -1.24 -0.92
(To do)
Your job: set down the lines further above verbatim.
(Worked solution)
Model i:
# C21H23N3O4S

A 2-piece molecular cluster, C21H23N3O4S overall (the ωB97M-V functional and the def2-TZVPD basis, the OMol25 dataset).

Element x y z (Å)
1 N 1.01 -2.11 0.29
2 C 1.44 -1.72 1.64
3 C 0.68 -2.03 2.95
4 C 1.21 -1.54 4.33
5 C 2.54 -0.72 4.50
6 C 3.31 -0.41 3.17
7 C 2.76 -0.90 1.78
8 C 3.61 -0.48 0.47
9 O 3.77 -1.25 -0.51
10 C 4.18 1.03 0.52
11 C 4.15 1.94 -0.75
12 C 4.68 3.39 -0.56
13 C 5.19 3.89 0.84
14 N 5.63 5.34 0.89
15 C 4.50 5.98 0.72
16 S 3.08 6.75 0.30
17 C 5.25 2.96 2.10
18 C 4.72 1.52 1.91
19 C 4.67 0.45 3.12
20 O 5.62 0.30 3.93
21 H 1.22 -1.34 -0.37
22 H -0.04 -2.13 0.31
23 H -0.31 -2.61 2.87
24 H 0.60 -1.75 5.27
25 H 2.92 -0.34 5.50
26 H 3.75 1.53 -1.75
27 H 4.63 4.08 -1.46
28 H 5.65 3.33 3.11
29 C -3.43 -1.92 0.74
30 O -2.50 -1.80 -0.32
31 C -2.67 -2.79 -1.34
32 C -3.22 -2.16 -2.63
33 N -4.60 -1.73 -2.46
34 C -5.09 -0.86 -3.54
35 C -4.38 0.49 -3.75
36 O -4.57 1.42 -2.69
37 C -3.71 1.25 -1.58
38 H -3.11 -1.26 1.55
39 H -4.43 -1.60 0.42
40 H -3.47 -2.94 1.12
41 H -3.29 -3.62 -1.00
42 H -1.67 -3.19 -1.56
43 H -3.16 -2.89 -3.44
44 H -2.56 -1.32 -2.88
45 H -4.69 -1.22 -1.59
46 H -6.14 -0.65 -3.31
47 H -5.07 -1.42 -4.48
48 H -4.82 0.95 -4.63
49 H -3.31 0.38 -3.98
50 H -2.73 0.88 -1.87
51 H -4.17 0.58 -0.84
52 H -3.58 2.22 -1.09

For the orbital gap, the calculation gives 7.40 eV.

Model ii:
# C21H23N3O4S

One molecule with the formula C21H23N3O4S (the ωB97M-V functional and the def2-TZVPD basis, the OMol25 dataset).

Element x y z (Å)
1 O 3.28 -0.92 -3.02
2 C 2.24 -1.52 -2.76
3 C 1.53 -2.25 -3.79
4 C 2.05 -2.58 -5.02
5 C 1.13 -3.21 -5.86
6 C -0.10 -3.35 -5.27
7 S -0.13 -2.73 -3.68
8 H -0.98 -3.79 -5.69
9 H 1.35 -3.55 -6.86
10 H 3.07 -2.36 -5.28
11 C 1.70 -1.49 -1.40
12 C 0.90 -2.31 -0.69
13 O 0.30 -3.46 -0.99
14 H -0.14 -3.75 -0.17
15 C 0.79 -1.82 0.71
16 O 0.17 -2.42 1.57
17 N 1.50 -0.68 0.78
18 C 1.75 0.09 1.98
19 H 2.49 -0.43 2.60
20 H 2.18 1.05 1.67
21 C 0.48 0.33 2.80
22 H 0.01 -0.64 2.99
23 H 0.77 0.76 3.76
24 C -0.50 1.26 2.07
25 N -1.86 1.25 2.55
26 C -2.60 0.03 2.27
27 H -2.49 -0.21 1.21
28 C -4.07 0.27 2.59
29 O -4.25 0.65 3.94
30 C -3.51 1.81 4.23
31 C -2.02 1.60 3.95
32 H -1.48 2.53 4.15
33 H -1.64 0.82 4.63
34 H -3.68 2.02 5.29
35 H -3.88 2.65 3.62
36 H -4.66 -0.64 2.45
37 H -4.46 1.07 1.93
38 H -2.24 -0.83 2.86
39 H -0.53 0.98 1.02
40 H -0.14 2.29 2.14
41 C 2.13 -0.36 -0.48
42 C 1.64 0.95 -1.07
43 N 0.34 1.16 -1.03
44 C -0.14 2.26 -1.58
45 C 0.65 3.20 -2.21
46 C 2.02 2.98 -2.26
47 C 2.53 1.83 -1.67
48 H 3.59 1.61 -1.70
49 H 2.68 3.68 -2.74
50 H 0.22 4.08 -2.66
51 H -1.22 2.38 -1.51
52 H 3.22 -0.33 -0.38

As for the SMILES: O=C(C1=C(O)C(=O)N(CCCN2CCOCC2)[C@@H]1c1ccccn1)c1cccs1. For the orbital gap, the calculation gives 7.92 eV.

Winner for stability: model ii

Model i:
# ClH2PS

One molecule with the formula ClH2PS (the ωB97M-V functional and the def2-TZVPD basis, the OMol25 dataset).

Element x y z (Å)
1 P -1.09 -0.70 0.17
2 S 3.03 -0.03 -0.20
3 Cl 1.06 0.45 0.06
4 H -1.48 -0.06 -1.01
5 H -1.52 0.34 0.99

For the orbital gap (alpha / beta), the calculation gives 6.43 / 5.93 eV.

Model ii:
# ClH2PS

One molecule with the formula ClH2PS (the ωB97M-V functional and the def2-TZVPD basis, the OMol25 dataset).

Element x y z (Å)
1 P 1.08 -0.02 -0.02
2 S 2.15 -1.65 0.00
3 Cl 1.68 1.99 0.00
4 H 0.19 0.11 -1.09
5 H 0.18 -0.06 1.04

As for the SMILES: S=[PH2]Cl. For the orbital gap, the calculation gives 9.35 eV.

Winner for stability: model ii

Model i:
# C7H11N2O2S

An isolated ion of composition C7H11N2O2S and charge +1 (the ωB97M-V functional and the def2-TZVPD basis, the OMol25 dataset).

Element x y z (Å)
1 C -0.30 -0.51 -1.30
2 C 0.98 -0.88 -1.10
3 C -0.99 0.46 -0.54
4 C 0.48 1.55 0.85
5 C -2.17 -1.76 0.94
6 C 1.70 -0.50 0.15
7 C -2.91 -0.77 0.06
8 N 0.39 2.85 0.73
9 N 1.73 1.01 0.27
10 O -1.04 -1.60 1.29
11 O -2.16 0.44 -0.07
12 S 3.39 -1.13 0.29
13 H -0.80 -0.83 -2.21
14 H 1.48 -1.54 -1.79
15 H -2.77 -2.64 1.21
16 H 1.16 -0.85 1.03
17 H -3.88 -0.51 0.50
18 H -3.08 -1.24 -0.92